(Activity)
Next, type out everything underneath unchanged.

(Source)
First-principles (PBE) data for a relaxed TaZn4 crystal, as listed in the Alexandria database.

a = 4.826 Å, b = 4.826 Å, c = 4.826 Å
α = 100.13°, β = 100.13°, γ = 130.41°
Fractional positions:
Ta 0.000 0.000 0.000
Zn 0.198 0.415 0.613
Zn 0.415 0.802 0.218
Zn 0.585 0.198 0.782
Zn 0.802 0.585 0.387

Calculated values
Formation energy from the elements   215 meV per atom
Distance to the lowest polymorph of the same formula   0.001 eV per atom

=====

DFT (PBE+U) results for a geometry-optimized Na3TaCo2O6 structure.

Results
As for the volume: 263 Å³ per cell. The calculation puts the uncorrected energy at -6.489 eV/atom.

abc: 5.323 9.214 5.639
angles: 90.00 108.24 90.00
Space group C2/m (No. 12)
Unique sites:
Na1 0.000 0.000 0.000 x2
Na2 0.000 0.326 0.000 x4
Ta1 0.000 0.500 0.500 x2
Co1 0.000 0.166 0.500 x4
O1 0.227 0.342 0.710 x8
O2 0.244 0.500 0.290 x4

=====

## Sr2YAs (PBE)

Data for a geometry-optimized Sr2YAs structure.

Results
For the final energy, the calculation gives -4.16 eV per atom. Its density is 3.9 Mg/m³. The value obtained for the density of states at the Fermi level is 3.01 states/eV/f.u.

abc: 3.835 3.835 9.895
angles: 90.00 90.00 90.00
Positions (direct):
Sr 0.000 0.000 0.000
Sr 0.500 0.500 0.352
Y 0.000 0.000 0.661
As 0.500 0.500 0.783

***

## PdPtSe2N (PBE)

Data for a geometry-optimized PdPtSe2N structure.

Results
For the final energy, the calculation gives -4.60 eV per atom. Its density is 8.0 Mg/m³. The value obtained for the density of states at the Fermi level is 5.11 states/eV/f.u. The calculation puts the raw formation energy at 703 meV/atom.

abc: 5.208 5.208 3.621
angles: 90.00 90.00 90.00
Positions (direct):
Pd 0.000 0.000 0.000
Pt 0.500 0.500 0.500
Se 0.000 0.500 0.500
Se 0.500 0.000 0.500
N 0.500 0.500 0.000

***

## Nd3MnPt8 (PBE)

Data for a geometry-optimized Nd3MnPt8 structure.

Results
For the final energy, the calculation gives -6.86 eV per atom. Its density is 14.7 Mg/m³. The value obtained for the density of states at the Fermi level is 6.83 states/eV/f.u.

abc: 9.457 9.457 9.457
angles: 33.63 33.63 33.63
Positions (direct):
Nd 0.000 0.000 0.000
Nd 0.129 0.129 0.129
Nd 0.516 0.516 0.516
Mn 0.645 0.645 0.645
Pt 0.067 0.568 0.568
Pt 0.069 0.069 0.567
Pt 0.069 0.567 0.069
Pt 0.317 0.317 0.317
Pt 0.567 0.069 0.069
Pt 0.568 0.067 0.568
Pt 0.568 0.568 0.067
Pt 0.818 0.818 0.818

***

Question: Which value of final energy does entry 3 give?
Answer: -6.86 eV per atom

=====

# SmHo3Al PBE-GGA optimized geometry
# calculated formation energy: 0.029 eV per atom
# total moment: 0.00 Bohr magnetons per cell
# V: 29.7 A^3/atom
# crystal system: monoclinic
# offset from the most stable computed form: 169 meV/atom
# total energy: -176.388 eV/cell
data_SmHo3Al
_chemical_formula_sum 'Sm8 Ho24 Al8'
_cell_length_a 12.2408
_cell_length_b 13.9975
_cell_length_c 7.0604
_cell_angle_alpha 90.00
_cell_angle_beta 100.52
_cell_angle_gamma 90.00
_space_group_name_H-M_alt 'C 1 2/c 1'
_space_group_IT_number 15
_space_group_name_Hall '-C 2yc'
loop_
_atom_site_label
_atom_site_type_symbol
_atom_site_fract_x
_atom_site_fract_y
_atom_site_fract_z
Sm1 Sm 0.1134 0.1858 0.1618
Ho1 Ho 0.1154 0.0596 0.6120
Ho2 Ho 0.1281 0.3497 0.5290
Ho3 Ho 0.1703 0.4046 0.0248
Al1 Al 0.0000 0.2336 0.7500
Al2 Al 0.0000 0.4914 0.2500

# Ho2PaCu PBE-GGA optimized geometry
# calculated formation energy: -0.001 eV per atom
# total moment: 0.04 Bohr magnetons per cell
# V: 23.9 A^3/atom
# crystal system: tetragonal
# offset from the most stable computed form: 0 meV/atom
# total energy: -22.750 eV/cell
data_Ho2PaCu
_chemical_formula_sum 'Ho2 Pa1 Cu1'
_cell_length_a 3.4137
_cell_length_b 3.4137
_cell_length_c 8.2085
_cell_angle_alpha 90.00
_cell_angle_beta 90.00
_cell_angle_gamma 90.00
_space_group_name_H-M_alt 'P 4/m m m'
_space_group_IT_number 123
_space_group_name_Hall '-P 4 2'
loop_
_atom_site_label
_atom_site_type_symbol
_atom_site_fract_x
_atom_site_fract_y
_atom_site_fract_z
Ho1 Ho 0.0000 0.0000 0.2128
Pa1 Pa 0.5000 0.5000 0.5000

(Written answer)
First-principles (PBE) data for a relaxed TaZn4 crystal, as listed in the Alexandria database.

a = 4.826 Å, b = 4.826 Å, c = 4.826 Å
α = 100.13°, β = 100.13°, γ = 130.41°
Fractional positions:
Ta 0.000 0.000 0.000
Zn 0.198 0.415 0.613
Zn 0.415 0.802 0.218
Zn 0.585 0.198 0.782
Zn 0.802 0.585 0.387

Calculated values
Formation energy from the elements   215 meV per atom
Distance to the lowest polymorph of the same formula   0.001 eV per atom

=====

DFT (PBE+U) results for a geometry-optimized Na3TaCo2O6 structure.

Results
As for the volume: 263 Å³ per cell. The calculation puts the uncorrected energy at -6.489 eV/atom.

abc: 5.323 9.214 5.639
angles: 90.00 108.24 90.00
Space group C2/m (No. 12)
Unique sites:
Na1 0.000 0.000 0.000 x2
Na2 0.000 0.326 0.000 x4
Ta1 0.000 0.500 0.500 x2
Co1 0.000 0.166 0.500 x4
O1 0.227 0.342 0.710 x8
O2 0.244 0.500 0.290 x4

=====

## Sr2YAs (PBE)

Data for a geometry-optimized Sr2YAs structure.

Results
For the final energy, the calculation gives -4.16 eV per atom. Its density is 3.9 Mg/m³. The value obtained for the density of states at the Fermi level is 3.01 states/eV/f.u.

abc: 3.835 3.835 9.895
angles: 90.00 90.00 90.00
Positions (direct):
Sr 0.000 0.000 0.000
Sr 0.500 0.500 0.352
Y 0.000 0.000 0.661
As 0.500 0.500 0.783

***

## PdPtSe2N (PBE)

Data for a geometry-optimized PdPtSe2N structure.

Results
For the final energy, the calculation gives -4.60 eV per atom. Its density is 8.0 Mg/m³. The value obtained for the density of states at the Fermi level is 5.11 states/eV/f.u. The calculation puts the raw formation energy at 703 meV/atom.

abc: 5.208 5.208 3.621
angles: 90.00 90.00 90.00
Positions (direct):
Pd 0.000 0.000 0.000
Pt 0.500 0.500 0.500
Se 0.000 0.500 0.500
Se 0.500 0.000 0.500
N 0.500 0.500 0.000

***

## Nd3MnPt8 (PBE)

Data for a geometry-optimized Nd3MnPt8 structure.

Results
For the final energy, the calculation gives -6.86 eV per atom. Its density is 14.7 Mg/m³. The value obtained for the density of states at the Fermi level is 6.83 states/eV/f.u.

abc: 9.457 9.457 9.457
angles: 33.63 33.63 33.63
Positions (direct):
Nd 0.000 0.000 0.000
Nd 0.129 0.129 0.129
Nd 0.516 0.516 0.516
Mn 0.645 0.645 0.645
Pt 0.067 0.568 0.568
Pt 0.069 0.069 0.567
Pt 0.069 0.567 0.069
Pt 0.317 0.317 0.317
Pt 0.567 0.069 0.069
Pt 0.568 0.067 0.568
Pt 0.568 0.568 0.067
Pt 0.818 0.818 0.818

***

Question: Which value of final energy does entry 3 give?
Answer: -6.86 eV per atom

=====

# SmHo3Al PBE-GGA optimized geometry
# calculated formation energy: 0.029 eV per atom
# total moment: 0.00 Bohr magnetons per cell
# V: 29.7 A^3/atom
# crystal system: monoclinic
# offset from the most stable computed form: 169 meV/atom
# total energy: -176.388 eV/cell
data_SmHo3Al
_chemical_formula_sum 'Sm8 Ho24 Al8'
_cell_length_a 12.2408
_cell_length_b 13.9975
_cell_length_c 7.0604
_cell_angle_alpha 90.00
_cell_angle_beta 100.52
_cell_angle_gamma 90.00
_space_group_name_H-M_alt 'C 1 2/c 1'
_space_group_IT_number 15
_space_group_name_Hall '-C 2yc'
loop_
_atom_site_label
_atom_site_type_symbol
_atom_site_fract_x
_atom_site_fract_y
_atom_site_fract_z
Sm1 Sm 0.1134 0.1858 0.1618
Ho1 Ho 0.1154 0.0596 0.6120
Ho2 Ho 0.1281 0.3497 0.5290
Ho3 Ho 0.1703 0.4046 0.0248
Al1 Al 0.0000 0.2336 0.7500
Al2 Al 0.0000 0.4914 0.2500

# Ho2PaCu PBE-GGA optimized geometry
# calculated formation energy: -0.001 eV per atom
# total moment: 0.04 Bohr magnetons per cell
# V: 23.9 A^3/atom
# crystal system: tetragonal
# offset from the most stable computed form: 0 meV/atom
# total energy: -22.750 eV/cell
data_Ho2PaCu
_chemical_formula_sum 'Ho2 Pa1 Cu1'
_cell_length_a 3.4137
_cell_length_b 3.4137
_cell_length_c 8.2085
_cell_angle_alpha 90.00
_cell_angle_beta 90.00
_cell_angle_gamma 90.00
_space_group_name_H-M_alt 'P 4/m m m'
_space_group_IT_number 123
_space_group_name_Hall '-P 4 2'
loop_
_atom_site_label
_atom_site_type_symbol
_atom_site_fract_x
_atom_site_fract_y
_atom_site_fract_z
Ho1 Ho 0.0000 0.0000 0.2128
Pa1 Pa 0.5000 0.5000 0.5000